by Annette Bridges. ©2009. All rights reserved.

Sharing our life lessons offers hope, encouragement and inspiration to others.

It’s comforting to have someone empathize with us. It may not be possible to walk in each other’s shoes, but it helps us and them when we try. Everyone has feelings and hopes — they don’t have to be the same as ours for us to relate to and support each other. Celebrating our similarities and differences helps build respect for one another and helps us clarify our own beliefs, values and goals, too.

There have been times when I was depressed and a friend would share a similar experience they had. Before this I felt alone and like the only person in the world who had to deal with whatever it was. Hearing how someone else has worked through a calamity is encouraging, even if their solution is different from what could work for you.

One friend said her “Aha!” was realizing she could retire early. She wrote, “Recent layoffs caused me concern so I checked my retirement benefits to see what would happen if I should be asked to leave now. I found that I could retire now, not collect until 2010, and there was virtually no difference in the amount I would receive in retirement benefits. We were able to pay off our home this year so my loss of income for 15 months won’t be an issue, and now I will have the time to travel to Denver more often to see my mom while she still has some quality time left. God has certainly lined everything up perfectly. WooooHoooo!!!!”

After getting her feelings hurt by someone in her Writer’s Group, this friend said a recent article I wrote resulted in an “Aha!” moment for her. She wrote, “I was reminded of a time as a child when I was asked to leave a group because I was too hyper and not “fitting in” with the rest of the girls. (It was a Brownie Scouts troop.) There have been times in my life when that event, along with others of the same nature, has led me to leave groups or people before being asked to leave. I read your article on letting go of grudges and realized I could let go of the hurt of that time long ago and that I had options on how to handle the present situation. The thoughts in your article led me to get past an old pattern of withdrawal when I had been angered or hurt.”

A friend shared, “I suppose my greatest “Aha” experience was when my daughter had to have surgery for scoliosis. I had just taught her how to do the back flip off the diving board at the lake. At the same time the school discovered the scoliosis through a routine screening at school, her teachers called me in for a parent teachers’ conference and from there I discovered she was having seizures. All this happened within a three week period. To make a long story short, none of her doctors could give me a definite answer as to whether, when they put her to sleep to do the surgery on her back, she would wake up or go into a coma because of the seizures.” This mother shared how her prayers resulted in the realization that God was the divine Parent of both herself and her daughter — the Father-Mother God who was ever caring for, protecting, and loving all of His children. She said, “The weight of the world was lifted off my shoulders.” The surgery went well.

Another mother wrote, “The moment when I knew my life would never be the same was when my son was born. Before I became a mother, I never thought about parenthood so deeply, but suddenly I realized that parenthood changes everything. Suddenly you’re living for the sake of another person, and you have to think about his/her needs at all times, often ignoring your own needs and desires. And the bond is eternal, because our spirits live eternally. Our children and our parents inevitably die, sooner or later, but the spirits live on forever, and therefore there is an eternal connection between a person and his/her parents. A person can have more than one husband or wife, but each of us has only one father and one mother. When I think about the influence my father and especially my mother had on me, it reminds me to be very careful how I speak to and act with my son.”

One friend shared about the “Ahas!” that come when she is learning something new. She describes herself as a slow learner. When her husband tries to teach her something new on the computer, for example, it may take a few times before an “Aha!” clicks and she gets it.

I’ve certainly had to repeat many life lessons before I truly understood their importance and value!

Materials data that have nothing to do with the text:
____________
1.
Pu3SnPd PBE optimized geometry; SG = P2_1/m (11); Fermi-level density of states = 76.6 states/eV per cell; ΔH_f (0 K) = -0.256 eV/atom
1.0
-0.080 4.867 0.203
-8.512 -0.280 3.383
5.794 -0.287 9.154
Pu Sn Pd
12 4 4
Direct
0.250 0.887 0.936 Pu
0.750 0.917 0.445 Pu
0.250 0.701 0.348 Pu
0.250 0.583 0.055 Pu
0.250 0.201 0.848 Pu
0.750 0.299 0.652 Pu
0.750 0.613 0.564 Pu
0.750 0.417 0.945 Pu
0.250 0.083 0.555 Pu
0.250 0.387 0.436 Pu
0.750 0.113 0.064 Pu
0.750 0.799 0.152 Pu
0.250 0.033 0.252 Sn
0.750 0.967 0.748 Sn
0.750 0.467 0.248 Sn
0.250 0.533 0.752 Sn
0.250 0.797 0.629 Pd
0.750 0.703 0.871 Pd
0.250 0.297 0.129 Pd
0.750 0.203 0.371 Pd

2.
AgSn2GeTe4 PBE optimized geometry; SG = P2/m (10); Fermi-level density of states = 2.5 states/eV per cell; raw formation energy = -0.1694 eV per atom
1.0
-2.483 -2.222 -2.774
5.844 -4.483 -1.640
-3.856 -2.889 5.765
Sn Te Ge Ag
2 4 1 1
Direct
0.000 0.500 0.500 Sn
0.500 0.000 0.500 Sn
0.000 0.743 0.234 Te
0.500 0.246 0.235 Te
0.500 0.754 0.765 Te
0.000 0.257 0.766 Te
0.500 0.500 0.000 Ge
0.000 0.000 0.000 Ag

| no. | total magnetization (Bohr magnetons per cell) | ρ (Mg/m³) | energy (eV for the cell shown) |
| --- | --- | --- | --- |
| 1 | 71.338 | 13.37 | -213.9 |
| 2 | 0.000 | 6.66 | -29.4 |

~~~~~

# TlMoF6

An optimized crystal structure of TlMoF6 (GGA+U, Alexandria via LeMat-Bulk).

Properties
- V: 18.1 A^3/atom
- ΔE to the lowest computed polymorph: 0.000 eV per formula unit

Unit cell a=5.269 b=5.269 c=5.355 alpha=97.31 beta=97.31 gamma=96.27
Sites, in units of the cell vectors:
Tl (0.000, 0.000, 0.000)
Mo (0.500, 0.500, 0.500)
F (0.240, 0.587, 0.247)
F (0.253, 0.253, 0.599)
F (0.413, 0.760, 0.753)
F (0.587, 0.240, 0.247)
F (0.747, 0.747, 0.401)
F (0.760, 0.413, 0.753)

=====

# Tl2VMoF6

An optimized crystal structure of Tl2VMoF6 (GGA+U, Alexandria via LeMat-Bulk).

Properties
- Total DFT energy (no corrections): -5.094 eV/atom
- V: 16.4 A^3/atom

Unit cell a=6.135 b=6.135 c=6.135 alpha=121.84 beta=116.93 gamma=91.12
Sites, in units of the cell vectors:
Tl (0.245, 0.245, 0.000)
Tl (0.755, 0.755, 0.000)
V (0.500, 0.000, 0.500)
Mo (0.000, 0.500, 0.500)
F (0.252, 0.752, 0.500)
F (0.272, 0.259, 0.531)
F (0.272, 0.741, 0.013)
F (0.728, 0.259, 0.987)
F (0.728, 0.741, 0.469)
F (0.748, 0.248, 0.500)

=====

# Y2TlMoF

An optimized crystal structure of Y2TlMoF (GGA+U, Alexandria via LeMat-Bulk).

Properties
- Total DFT energy (no corrections): -4.946 eV/atom
- V: 27.5 A^3/atom

Unit cell a=5.774 b=5.774 c=4.120 alpha=90.00 beta=90.00 gamma=90.00
Sites, in units of the cell vectors:
Y (0.000, 0.500, 0.000)
Y (0.500, 0.000, 0.000)
Tl (0.000, 0.000, 0.500)
Mo (0.500, 0.500, 0.000)
F (0.500, 0.500, 0.500)

=====

# TlZnMoF6

An optimized crystal structure of TlZnMoF6 (GGA+U, Alexandria via LeMat-Bulk).

Properties
- Total DFT energy (no corrections): -4.777 eV/atom
- V: 18.0 A^3/atom

Unit cell a=7.722 b=7.722 c=7.722 alpha=121.45 beta=119.06 gamma=89.57
Sites, in units of the cell vectors:
Tl (0.297, 0.047, 0.250)
____________

“Ahas!” — Life’s grand lessons — come in all shapes and sizes. Some may seem rather inconsequential while others result in dramatic changes in our life. But all “Ahas!” effect and influence our life in some way, making each one significant and important.

Once again, may you have many “Aha!” moments, my friends, and share these precious lessons with everyone you can!